He’s already done so much for me. I can’t fathom asking him to limit himself to the indoors for the rest of his life.
I jump as Damien wraps his arm around my torso, his warm breath fanning over the top of my head as he pulls me against his chest. I’m sure he can smell my nerves and hear how hard my heart’s beating, but he remains silent and holds me until the panic subsides and my hands stop shaking.
“You may not believe it just yet, but we hold so much respect for you,” he whispers.
Not wanting to argue, I nod and step out of his arms. I can tell he’s trying to keep it hidden, but slight threads of his excitement still seep into my brain.
Damien continues to whisper encouragement as he opens the front door for me. I stare into the woods, hesitating before sucking in a deep breath and stepping outside.
Without thinking, I grab Damien’s arm for support, finding comfort in his touch as I make my way down the front steps. I’m unable to hear what he’s saying over the thundering of my pulse, but the low timbre of his voice soothes my nerves.
I can do this.
“You’re doing so well,” he murmurs as we come to a pause at the halfway point.
My eyes dart around to make sure nobody’s watching as I take a few calming breaths. Damien urges me to turn and face him as I struggle to compose myself, his hands cupping my face and his fingers burying into my hat.
We’ll be at the gardens in only a few minutes.
“We can go back if you want,” Damien reminds me. “I told you I wouldn’t force you to do anything you’re not ready to do.”
As much as I’d love to turn around and run back home, I continue the trip to the garden. Damien’s done so much for me already, and I’ll be damned if I turn down the one request he’s made of me.
Besides, he promised he’d stay by my side the entire time.
My thoughts are jumbled and out of focus as I walk, unable to concentrate on anything and getting distracted by every slight noise. Damien keeps his arm wrapped around me as we move, tightening up and pulling me closer as we reach the last remaining trees that separate us from the open fields.
I can hear the beasts fighting from this distance, their loud snarls and clashing bodies audible to even my ears. If I can hear them, they can most definitely hear me.
Every inch of my body screams for me to turn and run back, but I ignore the sensation and push forward.
I stare at the ground as I break the barrier into the fields. Damien rubs my back and leads me in the direction of the garden, his voice low as he chats idly to keep me distracted.
The large plants come up quickly, and I look them over with a frown. The garden’s a bit overgrown, but it’s nothing too awful. Mia and Abby have been doing a good job.
The watering and general maintenance has been done. It just needs to be pruned and harvested.
It’s more work than I can do today, but I should be able to get through a decent amount.
“Uh,” Damien starts, clearing his throat. “What should I do?”
My lips twitch. I’m not surprised he’s not too familiar with what we do in the gardens but am shocked he wants to participate. I was under the impression he was going to sit and watch me do all the work.
“Do you want gloves?” I force myself to ask.
Damien chuckles. “No. The gloves are for humans.”
His answer is followed up with a hint of amusement, and I feel my cheeks warm in response. I should’ve known he wouldn’t need any gloves.
“This looks done,” Damien says, reaching for an unripe carrot.
I gasp and move to stop him before he can pull it, my fingers wrapping around his wrist at the exact moment he rips it out of the bed. The vegetable comes out short and deformed, and he grimaces and tries to shove it back in its the hole.
== Records of crystals that have nothing to do with the page ==
(1)
This entry pairs a crystal structure of CoNiRh2 with its theoretical X-ray powder pattern. Radiation: a wavelength of 1.5418 Å. Structure: a structure optimized by DFT (GGA-PBE).
Neutral-atom scattering factors, no anomalous dispersion.

Cell and atoms:
abc: 2.653 3.678 5.253
angles: 90.00 90.00 90.00
Positions (direct):
Co 0.000 0.000 0.000
Ni 0.500 0.500 0.234
Rh 0.000 0.000 0.481
Rh 0.500 0.500 0.752

The 10 most intense peaks (15° ≤ 2θ ≤ 90°), low angle first:
- 2θ 29.65, I 12.3
- 2θ 41.99, I 100.0
- 2θ 42.28, I 96.5
- 2θ 48.79, I 62.8
- 2θ 49.57, I 30.4
- 2θ 72.10, I 37.0
- 2θ 86.31, I 22.9
- 2θ 86.91, I 21.6
- 2θ 87.69, I 11.2
- 2θ 87.88, I 11.0

=====

(2)
This entry pairs a crystal structure of Co2NiRu with its theoretical X-ray powder pattern. Radiation: a wavelength of 1.5418 Å. Structure: a structure optimized by DFT (GGA-PBE).
Neutral-atom scattering factors, no anomalous dispersion.

Cell and atoms:
abc: 4.413 4.413 4.442
angles: 99.10 99.10 33.44
Positions (direct):
Co 0.249 0.249 0.243
Co 0.751 0.751 0.757
Ni 0.500 0.500 0.000
Ru 0.000 0.000 0.500

The 10 most intense peaks (15° ≤ 2θ ≤ 90°), low angle first:
- 2θ 20.27, I 2.4
- 2θ 21.32, I 3.7
- 2θ 26.98, I 1.9
- 2θ 43.43, I 100.0
- 2θ 50.14, I 16.0
- 2θ 50.80, I 30.9
- 2θ 74.16, I 18.5
- 2θ 74.60, I 4.6
- 2θ 74.77, I 4.5
- 2θ 89.53, I 11.3

=====

(3)
This entry pairs a crystal structure of TaCoNiRu with its theoretical X-ray powder pattern. Radiation: a wavelength of 1.5418 Å. Structure: a structure optimized by DFT (GGA-PBE).
Neutral-atom scattering factors, no anomalous dispersion.

Cell and atoms:
abc: 3.718 3.765 3.774
angles: 90.00 90.00 90.00
Positions (direct):
Ta 0.000 0.000 0.000
Co 0.500 0.000 0.500
Ni 0.000 0.500 0.500
Ru 0.500 0.500 0.000

The 10 most intense peaks (15° ≤ 2θ ≤ 90°), low angle first:
- 2θ 23.58, I 18.9
- 2θ 33.88, I 15.3
- 2θ 41.69, I 100.0
- 2θ 48.22, I 16.3
- 2θ 48.35, I 16.2
- 2θ 48.99, I 15.5
- 2θ 70.68, I 10.1
- 2θ 85.45, I 12.1
- 2θ 85.65, I 12.1
- 2θ 86.62, I 11.8

=====

(4)
This entry pairs a crystal structure of CoNi5S8 with its theoretical X-ray powder pattern. Radiation: a wavelength of 1.5418 Å. Structure: a structure optimized by DFT (GGA-PBE).
Neutral-atom scattering factors, no anomalous dispersion.

Cell and atoms:
abc: 6.660 6.660 6.660
angles: 60.00 60.00 60.00
Positions (direct):
Co 0.000 0.000 0.000
Ni 0.375 0.375 0.375
Ni 0.375 0.375 0.875
Ni 0.375 0.875 0.375
Ni 0.750 0.750 0.750
Ni 0.875 0.375 0.375
S 0.132 0.132 0.132
S 0.132 0.132 0.605
S 0.132 0.605 0.132
S 0.150 0.617 0.617
S 0.605 0.132 0.132
S 0.617 0.150 0.617
S 0.617 0.617 0.150
S 0.617 0.617 0.617
My lips curl as I point to one that’s ripe. “You shouldn’t pull them until they look like this,” I say, showing him how the top of the vegetable pops out of the soil.
Damien nods. “Noted.”